Showing posts with label LanguagePreservation. Show all posts
Showing posts with label LanguagePreservation. Show all posts

Thursday, June 30, 2022

Working with Local Communities to Revitalize and Preserve Indigenous Languages in Canada

By Kevin King, Typotheque

The Typotheque Syllabics Project, an initiative based out of Toronto and The Hague, Netherlands, undertook research with language keepers across various Syllabics-using Indigenous communities in Canada to document and address both local typographic preferences, as well as technical barriers they faced.

- - -
Molecular formula: C19H42BrClO12S2Si2
Method: DFT, ωB97M-V/def2-TZVPD

```
79
Properties=species:S:1:pos:R:3:mulliken_charge:R:1
C 4.98 0.28 0.66 -0.690
C 3.70 0.98 1.24 -0.797
C 2.82 1.65 0.11 0.193
C 2.65 0.59 -1.01 -0.087
O 1.58 0.84 -1.92 -0.514
Si 0.05 0.44 -1.30 0.679
C 0.01 -1.00 -0.08 -0.447
C 0.69 -2.34 -0.56 -0.873
C 0.45 -2.72 -2.05 -0.197
Br 2.04 -2.27 -3.16 -0.181
O -0.52 1.82 -0.45 -0.614
C -0.67 2.96 -1.29 -0.220
C 0.57 3.90 -1.34 -0.404
C 0.83 4.63 0.04 -1.245
O -1.00 0.18 -2.63 -0.292
Si -2.63 -0.06 -2.17 0.251
C -3.67 1.48 -2.58 -0.745
C -4.18 2.10 -1.23 -0.734
C -4.58 3.60 -1.34 -0.503
Cl -5.22 4.12 0.29 -0.239
C -3.36 -1.57 -3.12 -0.970
O -3.57 -2.70 -2.27 -0.366
C -4.86 -2.63 -1.68 -0.574
H 5.51 0.93 -0.07 0.327
H 4.73 -0.66 0.13 0.219
H 5.69 -0.01 1.46 0.011
H 3.94 1.68 2.06 0.441
H 3.09 0.15 1.65 0.191
H 1.88 1.95 0.61 0.008
H 3.42 2.52 -0.23 0.351
H 2.63 -0.41 -0.53 -0.231
H 3.58 0.61 -1.62 0.265
H -0.99 -1.25 0.29 0.735
H 0.59 -0.66 0.81 0.327
H 0.22 -3.15 0.04 0.444
H 1.76 -2.39 -0.30 0.263
H -0.49 -2.36 -2.48 -0.145
H 0.39 -3.83 -2.09 0.458
H -1.50 3.57 -0.86 0.224
H -0.98 2.73 -2.33 0.189
H 1.48 3.40 -1.70 0.175
H 0.33 4.71 -2.06 0.478
H 1.93 4.72 0.14 0.294
H 0.37 4.11 0.89 0.256
H 0.45 5.67 -0.03 0.396
H -2.80 -0.35 -0.72 -0.123
H -3.07 2.19 -3.19 0.480
H -4.54 1.14 -3.18 0.587
H -3.36 2.00 -0.49 0.227
H -5.02 1.50 -0.83 0.477
H -3.71 4.22 -1.58 0.287
H -5.40 3.73 -2.06 0.383
H -2.74 -1.82 -4.01 0.431
H -4.34 -1.22 -3.52 0.472
H -5.68 -2.76 -2.42 0.282
H -5.05 -1.69 -1.12 0.186
H -4.92 -3.45 -0.94 0.202
C 10.50 0.71 2.95 -0.338
C 9.68 1.95 3.26 -0.325
O 8.52 1.84 2.44 -0.306
S 8.14 0.28 2.26 1.201
O 7.12 -0.05 3.20 -0.562
O 8.02 0.00 0.87 -0.529
O 9.53 -0.34 2.79 -0.326
H 11.04 0.82 2.02 0.286
H 11.19 0.46 3.75 0.307
H 10.22 2.87 3.04 0.307
H 9.36 1.96 4.31 0.289
C -6.40 -5.31 3.13 -0.322
C -6.84 -3.87 3.35 -0.327
O -7.09 -3.36 2.04 -0.294
S -7.64 -4.55 1.10 1.089
O -9.07 -4.48 1.06 -0.555
O -6.85 -4.59 -0.09 -0.468
O -7.23 -5.78 2.06 -0.314
H -5.36 -5.36 2.81 0.278
H -6.54 -5.92 4.01 0.310
H -6.08 -3.28 3.85 0.317
H -7.77 -3.82 3.92 0.286
```

Calculated values
HOMO = -9.091 eV
ΔE to the lowest compared entry with this formula, charge and spin = 38.3 kcal/mol
total charge = 0

~~~~~

111
Properties=species:S:1:pos:R:3:forces:R:3:mulliken_charge:R:1 method="wB97M-V/def2-TZVPD" gap_ha=0.19703 e_tot_ha=-4160.50976 homo_energy_ev=-6.82 max_force_ev_per_a=5.5
Cd 3.44946 1.23373 -1.70676 -2.248 0.949 1.260 0.778
C 3.16258 -2.67908 -3.13631 0.686 -0.020 0.580 0.779
F 3.24357 -3.46689 -2.07687 -0.085 0.201 0.360 -0.197
F 3.26989 -3.45509 -4.19433 0.076 0.346 -0.525 -0.225
F 1.99727 -2.05004 -3.14111 0.076 0.013 -0.091 -0.271
S 4.61701 -1.41977 -3.16261 0.087 -0.195 -2.551 0.715
O 5.79889 -2.24224 -3.33737 -1.158 1.179 1.237 -0.536
O 4.32760 -0.55972 -4.30534 -0.363 -0.181 1.652 -0.636
N 4.41944 -0.47697 -1.73033 3.263 -4.380 -0.768 0.092
S 5.37305 -1.17323 -0.53877 -0.119 -0.896 2.120 0.661
- - -

This research contributed to two proposals to amend the Unicode Standard for the Syllabics, which is an important step in the preservation and revitalization of Indigenous languages.

[Map, Image provided by Typotheque, used with permission.]

The local Indigenous communities were given a voice in reclaiming ownership over the use of their language, as well as the resources for self-determined expression in the writing system that they identify with. By working in collaboration with Nattilik language keepers Nilaulaaq, Janet Tamalik, Attima and Elisabeth Hadlari, and elders in the community, key issues the Nattilik community of Western Nunavut faced were identified, and it was discovered that there were 12 missing syllabic characters from the Unicode Standard. The Nattilik community was unable to use their language reliably for even simple, everyday digital text exchanges such as email or text messaging.

[Syllables Block, Image provided by Typotheque, used with permission.]
The Nattilik Kutaiřřutit (Nattilik special characters), required for representing sounds unique to the Nattilingmiutut dialect of Inuktut.

It was also revealed that the glyphs of the Carrier (Dakelh) community of central British Columbia were incorrectly represented in the UCAS code charts. Additionally, 4 characters for a now-obsolete sp series were successfully proposed to Unicode for representing and digitally-preserving historical texts in the Cree and Ojibway languages. These important alterations meant that all Syllabics typefaces that are fully Unicode-compliant – including system level typefaces on common operating systems – would be capable of accurately and legibly representing text for the Carrier, Sayisi, and Ojibway Syllabics-using communities moving forward.

When the comprehensive glyph set was produced by the project, the results provided not only a stable environment for the local Indigenous communities to use their languages on their devices, but it also changed the standards for the development of all future Syllabics fonts, and ensured that writing systems of all communities will be accurately represented.

[Syllables, Image provided by Typotheque, used with permission.]
Above, a representation of the missing characters for Nattilingmiutut, a dialect of Inuktut in Western Nunavut.

Where to learn more:


Special thanks to Liang Hai, Deborah Anderson, and Sarah Rivera for their contributions to this blog.

Over 144,000 characters are available for adoption to help the Unicode Consortium’s work on digitally disadvantaged languages
